## Exercise
Next, retype all of the block below unchanged.

## File
-- begin --
Entry 1:
Below is 6 unconnected molecules or ions with the total composition C6H27N2O5 at a distorted geometry, with properties calculated with the ωB97M-V functional and the def2-TZVPD basis.

XYZ file:
```
40
Properties=species:S:1:pos:R:3:forces:R:3:mulliken_charge:R:1
H -0.4934 -1.1703 0.7481 -0.513 -0.477 -0.187 -0.097
H 0.0906 -0.3515 -2.0306 1.067 0.159 1.606 -0.234
O -2.5111 0.4997 1.6874 -1.078 0.048 -0.925 -0.498
O -1.3149 0.4280 3.7556 0.763 0.197 0.492 -0.611
H 1.5649 -2.5654 -0.4852 0.401 -0.017 -0.298 0.402
H 3.2549 -1.8161 2.0605 0.119 -0.230 0.380 0.307
N 1.5614 0.1033 -0.4519 -1.146 1.150 -0.367 -0.100
H 2.7264 -1.7342 -2.0966 0.430 0.385 -0.495 0.362
H -1.5501 1.9641 0.3386 1.160 0.452 0.008 0.447
C 0.6475 -2.1247 -0.8623 -0.233 0.401 0.396 -1.169
H 2.6745 1.7862 -0.5773 -1.023 0.659 0.096 0.449
H 2.4581 -0.1145 -2.9116 0.176 -0.240 -0.271 0.401
H -0.5536 1.2016 1.4387 -0.752 -0.391 -1.126 0.353
H -1.7022 -0.4461 3.7773 0.185 -0.311 0.551 0.325
H 0.3581 -2.6917 -1.7393 -0.324 -0.726 0.133 0.553
H 3.1402 -0.9094 3.3444 0.073 -0.335 -0.547 0.296
H 1.4016 1.9450 -1.7548 -0.194 -1.045 0.110 0.285
H -1.5365 -1.5819 -2.0037 -0.040 -0.131 -0.105 0.300
O -3.1789 2.2698 -0.7319 0.126 0.795 -0.701 -0.600
C 0.6840 2.2507 0.2604 0.209 1.526 0.691 -0.634
H -3.8369 2.9396 -0.5123 -0.215 -0.094 0.476 0.275
H -2.9316 2.6014 -1.6168 0.098 -0.606 0.318 0.289
C -0.3449 -2.1639 0.3115 0.172 -0.748 -0.686 -0.931
H -3.3390 0.7543 1.2644 -0.076 -0.246 -0.189 0.207
C 2.0175 -1.0541 -2.5844 -0.837 -0.564 0.786 -1.469
H 1.2078 2.2502 1.2695 -0.831 0.190 -1.258 0.295
H 0.0575 -2.8104 1.0703 0.466 0.011 0.631 0.468
N -0.6028 1.5211 0.4467 -0.366 -0.747 1.070 0.063
C 1.5961 1.5369 -0.7427 1.313 0.349 0.379 -0.736
H -2.7494 -0.1079 2.3851 -0.255 0.149 -0.054 0.251
O -1.9585 -0.7212 -2.0593 -0.493 0.421 0.130 -0.631
H 0.3426 3.2800 -0.0025 0.986 -0.540 0.076 0.351
C 0.9719 -0.7728 -1.4585 1.491 -0.202 -1.317 0.913
H -1.6181 0.8917 4.5395 -0.032 -0.095 0.201 0.297
O 3.0714 -0.9304 2.3764 -0.192 0.565 0.098 -0.597
H -0.7054 0.7175 -0.1870 0.380 -0.238 0.494 0.023
H -1.2042 -2.7728 0.0150 -0.612 0.945 0.102 0.437
H 1.5352 -1.6272 -3.3939 0.351 0.444 0.004 0.364
H 2.4415 -0.1495 0.0020 -0.597 -0.609 -0.557 0.255
H -1.6722 -0.3252 -2.8886 -0.159 -0.254 -0.143 0.338
```
Forces are in eV/Å.

Properties
DFT total energy ... -19870.712 eV
Highest occupied orbital energy ... -11.780 eV
Charge ... +1
Orbital gap ... 9.14 eV
Relative energy (zero: lowest compared OMol25 entry of this formula, charge and spin) ... 65.5 kcal per mole

***

Entry 2:
Below is 6 unconnected molecules or ions with the total composition C6H27N2O5 at a distorted geometry, with properties calculated with the ωB97M-V functional and the def2-TZVPD basis.

XYZ file:
```
40
Properties=species:S:1:pos:R:3:forces:R:3:mulliken_charge:R:1
C -0.3259 -3.4553 0.0464 0.660 0.528 0.185 -0.266
H 1.3823 -0.2446 2.0676 -1.715 -0.273 0.001 0.105
H -0.3426 2.8751 0.5109 -1.141 0.512 -0.228 0.427
C -1.3659 -3.1408 -1.0069 0.446 1.551 -0.899 -1.050
O 0.0623 1.1567 -3.3315 0.725 -0.830 -1.053 -0.616
H 0.3829 0.6810 -4.1461 -0.940 0.937 1.034 0.292
H -1.1850 -2.1149 -1.3948 0.037 -0.261 0.184 0.113
H -1.1550 -3.7403 -1.8938 -0.522 -0.315 0.169 0.376
O -2.7049 1.2348 -0.4879 0.486 0.118 -0.291 -0.622
H -3.5069 0.8381 -0.1388 -0.077 -0.161 -0.058 0.301
H -2.4214 -3.0973 -0.7384 0.105 -0.672 0.288 0.314
N 0.2622 2.1571 0.8591 0.317 -3.916 1.379 0.358
H 1.3338 3.5070 2.1691 -0.610 -0.815 0.004 0.407
H 0.6501 -3.4010 -0.4520 -0.077 0.027 -0.088 0.049
H 2.0823 0.1369 -1.1033 -0.325 -0.099 0.073 0.276
N -0.3601 -1.1021 1.0297 0.155 -0.751 -1.736 0.208
H 1.2187 0.9713 -2.1045 0.033 0.096 0.740 0.351
O 1.5735 0.9561 -1.1842 0.012 -0.076 -0.384 -0.599
H -1.4142 1.0274 1.8088 0.842 0.565 -0.658 0.280
H -0.4467 3.6431 -1.5726 -0.399 0.314 0.049 0.328
H -0.1620 -0.9277 0.0651 0.628 0.397 -0.433 -0.033
C -0.3123 1.1834 1.9254 -2.564 0.776 0.885 -0.970
H 0.5322 -2.8782 1.9580 -0.044 0.425 -0.185 0.326
-- stop --

## Worked solution
Entry 1:
Below is 6 unconnected molecules or ions with the total composition C6H27N2O5 at a distorted geometry, with properties calculated with the ωB97M-V functional and the def2-TZVPD basis.

XYZ file:
```
40
Properties=species:S:1:pos:R:3:forces:R:3:mulliken_charge:R:1
H -0.4934 -1.1703 0.7481 -0.513 -0.477 -0.187 -0.097
H 0.0906 -0.3515 -2.0306 1.067 0.159 1.606 -0.234
O -2.5111 0.4997 1.6874 -1.078 0.048 -0.925 -0.498
O -1.3149 0.4280 3.7556 0.763 0.197 0.492 -0.611
H 1.5649 -2.5654 -0.4852 0.401 -0.017 -0.298 0.402
H 3.2549 -1.8161 2.0605 0.119 -0.230 0.380 0.307
N 1.5614 0.1033 -0.4519 -1.146 1.150 -0.367 -0.100
H 2.7264 -1.7342 -2.0966 0.430 0.385 -0.495 0.362
H -1.5501 1.9641 0.3386 1.160 0.452 0.008 0.447
C 0.6475 -2.1247 -0.8623 -0.233 0.401 0.396 -1.169
H 2.6745 1.7862 -0.5773 -1.023 0.659 0.096 0.449
H 2.4581 -0.1145 -2.9116 0.176 -0.240 -0.271 0.401
H -0.5536 1.2016 1.4387 -0.752 -0.391 -1.126 0.353
H -1.7022 -0.4461 3.7773 0.185 -0.311 0.551 0.325
H 0.3581 -2.6917 -1.7393 -0.324 -0.726 0.133 0.553
H 3.1402 -0.9094 3.3444 0.073 -0.335 -0.547 0.296
H 1.4016 1.9450 -1.7548 -0.194 -1.045 0.110 0.285
H -1.5365 -1.5819 -2.0037 -0.040 -0.131 -0.105 0.300
O -3.1789 2.2698 -0.7319 0.126 0.795 -0.701 -0.600
C 0.6840 2.2507 0.2604 0.209 1.526 0.691 -0.634
H -3.8369 2.9396 -0.5123 -0.215 -0.094 0.476 0.275
H -2.9316 2.6014 -1.6168 0.098 -0.606 0.318 0.289
C -0.3449 -2.1639 0.3115 0.172 -0.748 -0.686 -0.931
H -3.3390 0.7543 1.2644 -0.076 -0.246 -0.189 0.207
C 2.0175 -1.0541 -2.5844 -0.837 -0.564 0.786 -1.469
H 1.2078 2.2502 1.2695 -0.831 0.190 -1.258 0.295
H 0.0575 -2.8104 1.0703 0.466 0.011 0.631 0.468
N -0.6028 1.5211 0.4467 -0.366 -0.747 1.070 0.063
C 1.5961 1.5369 -0.7427 1.313 0.349 0.379 -0.736
H -2.7494 -0.1079 2.3851 -0.255 0.149 -0.054 0.251
O -1.9585 -0.7212 -2.0593 -0.493 0.421 0.130 -0.631
H 0.3426 3.2800 -0.0025 0.986 -0.540 0.076 0.351
C 0.9719 -0.7728 -1.4585 1.491 -0.202 -1.317 0.913
H -1.6181 0.8917 4.5395 -0.032 -0.095 0.201 0.297
O 3.0714 -0.9304 2.3764 -0.192 0.565 0.098 -0.597
H -0.7054 0.7175 -0.1870 0.380 -0.238 0.494 0.023
H -1.2042 -2.7728 0.0150 -0.612 0.945 0.102 0.437
H 1.5352 -1.6272 -3.3939 0.351 0.444 0.004 0.364
H 2.4415 -0.1495 0.0020 -0.597 -0.609 -0.557 0.255
H -1.6722 -0.3252 -2.8886 -0.159 -0.254 -0.143 0.338
```
Forces are in eV/Å.

Properties
DFT total energy ... -19870.712 eV
Highest occupied orbital energy ... -11.780 eV
Charge ... +1
Orbital gap ... 9.14 eV
Relative energy (zero: lowest compared OMol25 entry of this formula, charge and spin) ... 65.5 kcal per mole

***

Entry 2:
Below is 6 unconnected molecules or ions with the total composition C6H27N2O5 at a distorted geometry, with properties calculated with the ωB97M-V functional and the def2-TZVPD basis.

XYZ file:
```
40
Properties=species:S:1:pos:R:3:forces:R:3:mulliken_charge:R:1
C -0.3259 -3.4553 0.0464 0.660 0.528 0.185 -0.266
H 1.3823 -0.2446 2.0676 -1.715 -0.273 0.001 0.105
H -0.3426 2.8751 0.5109 -1.141 0.512 -0.228 0.427
C -1.3659 -3.1408 -1.0069 0.446 1.551 -0.899 -1.050
O 0.0623 1.1567 -3.3315 0.725 -0.830 -1.053 -0.616
H 0.3829 0.6810 -4.1461 -0.940 0.937 1.034 0.292
H -1.1850 -2.1149 -1.3948 0.037 -0.261 0.184 0.113
H -1.1550 -3.7403 -1.8938 -0.522 -0.315 0.169 0.376
O -2.7049 1.2348 -0.4879 0.486 0.118 -0.291 -0.622
H -3.5069 0.8381 -0.1388 -0.077 -0.161 -0.058 0.301
H -2.4214 -3.0973 -0.7384 0.105 -0.672 0.288 0.314
N 0.2622 2.1571 0.8591 0.317 -3.916 1.379 0.358
H 1.3338 3.5070 2.1691 -0.610 -0.815 0.004 0.407
H 0.6501 -3.4010 -0.4520 -0.077 0.027 -0.088 0.049
H 2.0823 0.1369 -1.1033 -0.325 -0.099 0.073 0.276
N -0.3601 -1.1021 1.0297 0.155 -0.751 -1.736 0.208
H 1.2187 0.9713 -2.1045 0.033 0.096 0.740 0.351
O 1.5735 0.9561 -1.1842 0.012 -0.076 -0.384 -0.599
H -1.4142 1.0274 1.8088 0.842 0.565 -0.658 0.280
H -0.4467 3.6431 -1.5726 -0.399 0.314 0.049 0.328
H -0.1620 -0.9277 0.0651 0.628 0.397 -0.433 -0.033
C -0.3123 1.1834 1.9254 -2.564 0.776 0.885 -0.970
H 0.5322 -2.8782 1.9580 -0.044 0.425 -0.185 0.326